Group Health
Between two parts of the page: records of crystals:
This record from OQMD describes a geometry-optimized CoGeO3 structure. The functional is PBE with a Hubbard U.

## Properties
As for the volume: 51 Å³/cell. The raw total energy is -5.37 eV per atom. The magnetic moment is 2.7 μB/f.u.

a = 3.713 Å, b = 3.713 Å, c = 3.713 Å
α = 90.00°, β = 90.00°, γ = 90.00°
Each line ends with the local moment (μB).
Positions (direct):
Co: 0.500 0.500 0.500  2.03
Ge: 0.000 0.000 0.000  0.05
O: 0.500 0.500 0.000  0.06
O: 0.500 0.000 0.500  0.11
O: 0.000 0.500 0.500  0.28
Health insurance is usually one of the foundational benefits of a comprehensive benefits package. Since health insurance is often most affordable through an employer-provided plan, you want to make sure that you are offering this benefit to eligible employees. If you are not offering it, your competition will be.
Group Vision
Vision insurance often functions like dental insurance — it is a health insurance add-on policy that allows an employee to seek vision care, as well as purchase contact lenses and glasses at reduced rates. Usually, an employee can add family members, like a spouse or children to all their health insurance plans, thus providing coverage for the whole family. This can be offered as a voluntary benefit or you as they employer may choose to contribute towards the employee's premiums.
Retirement Plans
• Someone pasted records of crystals at this point:
/*
No. 1
Entry from OQMD: PrSiTc4Ge after structural relaxation (GGA-PBE).

The structure in POSCAR format:
```
PrSiTc4Ge
1.0
-1.8220 3.1353 -2.0091
-4.0797 1.4650 5.9860
-0.6021 3.7230 6.3560
Ge Pr Tc Si
1 1 4 1
direct
0.0000 0.4136 0.4136 Ge
0.5000 0.0019 0.0019 Pr
0.0000 0.8038 0.8038 Tc
0.0000 0.1916 0.1916 Tc
0.5000 0.3002 0.3002 Tc
0.5000 0.6956 0.6956 Tc
0.0000 0.5934 0.5934 Si
```

Summary:
Total moment in μB/cell: 0.01
Calculated total energy in eV per atom: -8.49

No. 2
Entry from OQMD: Tm3Re5N12 after structural relaxation (GGA-PBE).

The structure in POSCAR format:
```
Tm3Re5N12
1.0
-6.2941 6.2941 6.2941
6.2941 -6.2941 6.2941
6.2941 6.2941 -6.2941
Re N Tm
20 48 12
direct
0.0000 0.5000 0.5000 Re
0.2500 0.1250 0.8750 Re
0.5000 0.5000 0.5000 Re
0.3750 0.2500 0.6250 Re
0.1250 0.8750 0.2500 Re
0.0000 0.0000 0.0000 Re
0.5000 0.0000 0.5000 Re
0.6250 0.7500 0.3750 Re
0.3750 0.6250 0.7500 Re
0.7500 0.3750 0.6250 Re
0.2500 0.6250 0.3750 Re
0.7500 0.8750 0.1250 Re
0.0000 0.0000 0.5000 Re
0.1250 0.7500 0.8750 Re
0.8750 0.2500 0.1250 Re
0.0000 0.5000 0.0000 Re
0.5000 0.0000 0.0000 Re
0.6250 0.3750 0.2500 Re
0.5000 0.5000 0.0000 Re
0.8750 0.1250 0.7500 Re
0.0968 0.9786 0.6805 N
0.7981 0.4163 0.8195 N
0.3818 0.5837 0.9032 N
0.0968 0.6182 0.4163 N
0.9163 0.1182 0.5968 N
0.1805 0.4786 0.5968 N
0.9786 0.6805 0.0968 N
0.6805 0.0968 0.9786 N
0.8195 0.5214 0.4032 N
0.6805 0.0837 0.7019 N
0.1182 0.5968 0.9163 N
0.4163 0.0968 0.6182 N
0.4163 0.8195 0.7981 N
0.0214 0.2019 0.1182 N
0.7981 0.8818 0.9786 N
0.0837 0.8818 0.4032 N
0.9786 0.7981 0.8818 N
0.0214 0.3195 0.9032 N
0.3195 0.9163 0.2981 N
0.0837 0.7019 0.6805 N
0.9163 0.2981 0.3195 N
0.2981 0.4786 0.3818 N
0.2019 0.5837 0.1805 N
0.8818 0.4032 0.0837 N
0.8195 0.7981 0.4163 N
0.5968 0.1805 0.4786 N
0.4786 0.3818 0.2981 N
0.6182 0.7019 0.5214 N
0.3818 0.2981 0.4786 N
0.6182 0.4163 0.0968 N
0.5968 0.9163 0.1182 N
0.4032 0.0837 0.8818 N
0.7019 0.6805 0.0837 N
0.1182 0.0214 0.2019 N
0.3195 0.9032 0.0214 N
0.9032 0.3818 0.5837 N
0.2019 0.1182 0.0214 N
0.4032 0.8195 0.5214 N
0.5214 0.4032 0.8195 N
0.2981 0.3195 0.9163 N
0.7019 0.5214 0.6182 N
0.5837 0.9032 0.3818 N
0.5214 0.6182 0.7019 N
0.8818 0.9786 0.7981 N
0.4786 0.5968 0.1805 N
0.5837 0.1805 0.2019 N
0.1805 0.2019 0.5837 N
0.9032 0.0214 0.3195 N
0.2500 0.8750 0.6250 Tm
0.6250 0.2500 0.8750 Tm
0.8750 0.7500 0.6250 Tm
0.7500 0.1250 0.3750 Tm
0.8750 0.6250 0.2500 Tm
0.3750 0.1250 0.2500 Tm
0.7500 0.6250 0.8750 Tm
0.3750 0.7500 0.1250 Tm
0.1250 0.3750 0.7500 Tm
0.6250 0.8750 0.7500 Tm
0.1250 0.2500 0.3750 Tm
0.2500 0.3750 0.1250 Tm
```

Summary:
Total moment in μB/cell: 0.05
Calculated total energy in eV per atom: -9.25

No. 3
Entry from OQMD: TlFeOsPd after structural relaxation (GGA-PBE).

The structure in POSCAR format:
```
TlFeOsPd
1.0
-2.3278 -3.7135 1.0197
-3.0349 0.0880 3.3212
-4.3904 -0.2371 -0.9573
Os Tl Fe Pd
1 1 1 1
direct
0.5000 0.5000 0.5000 Os
0.0000 0.0000 0.0000 Tl
0.7500 0.7500 0.7500 Fe
0.2500 0.2500 0.2500 Pd
```

Summary:
*/
• Here the piece continues:
The final foundational component of a comprehensive benefits package is the retirement package. Many companies offer 401(k) or other similar retirement options, such as a 403(b), SEP IRA or SIMPLE IRA for their employees. Most provide matching, meaning whatever amount the employee chooses to contribute to their plan, the company matches, helping the employee save for their retirement faster.
Group Life/AD&D
A life insurance policy provides a death benefit to a selected beneficiaries, usually a spouse, children or other immediate relatives, in the case of a death while working for the company. Many companies also include accidental death and dismemberment insurance with life insurance that provides a payout to an employee's loved ones. You can offer a Flat Death Benefit Amount, such as $10,000 or $25,000 or more, and you can also match death benefits to a multiple of annual income. There are no medical questions up to a certain amount of death benefits, but this may be required if exceeding the limit per the contract.
Buy-Sell Planning
A buy-sell agreement provides a plan for the orderly transfer of any owner's business interest. Consider a buy-sell agreement for your business if: You have two or more owners. You want to provide protection in the event of any owner's termination of employment, retirement, divorce, disability, or death.
GAP Plans
=====
Record 1
First-principles (PBE) data for CuRuRh3 after structural relaxation, as listed in Alexandria.

Cell and atoms, written as CIF:
```
data_CuRuRh3
_symmetry_space_group_name_H-M 'P m -3 m'
_symmetry_Int_Tables_number 221
_symmetry_space_group_name_Hall '-P 4 2 3'
_cell_length_a 4.437
_cell_length_b 4.437
_cell_length_c 4.437
_cell_angle_alpha 90.00
_cell_angle_beta 90.00
_cell_angle_gamma 90.00
loop_
_atom_site_label
_atom_site_fract_x
_atom_site_fract_y
_atom_site_fract_z
Cu1 0.000 0.000 0.000
Ru1 0.500 0.500 0.500
Rh1 0.000 0.000 0.500
```

Summary:
- DOS at the Fermi energy: 6.0 states/eV per cell
- Energy above the most stable polymorph in this dataset: 5.58 eV per formula unit
- E_form: 7.27 eV/f.u.
- ρ: 9.00 Mg/m³

***

Record 2
First-principles (PBE) data for TbPr2Sm after structural relaxation, as listed in Alexandria.

Cell and atoms, written as CIF:
```
data_TbPr2Sm
_symmetry_space_group_name_H-M 'P 4/m m m'
_symmetry_Int_Tables_number 123
_symmetry_space_group_name_Hall '-P 4 2'
_cell_length_a 5.178
_cell_length_b 5.178
_cell_length_c 5.139
_cell_angle_alpha 90.00
_cell_angle_beta 90.00
_cell_angle_gamma 90.00
loop_
_atom_site_label
_atom_site_fract_x
_atom_site_fract_y
_atom_site_fract_z
Tb1 0.000 0.000 0.000
Pr1 0.000 0.500 0.500
Sm1 0.500 0.500 0.000
```

Summary:
- DOS at the Fermi energy: 6.6 states/eV per cell
- Energy above the most stable polymorph in this dataset: 0.02 eV per formula unit
- E_form: 0.07 eV/f.u.
- ρ: 7.12 Mg/m³

***

Record 3
First-principles (PBE) data for InHgPt after structural relaxation, as listed in Alexandria.

Cell and atoms, written as CIF:
```
data_InHgPt
_symmetry_space_group_name_H-M 'P 1 21 1'
_symmetry_Int_Tables_number 4
_cell_length_a 6.646
_cell_length_b 6.699
_cell_length_c 6.974
_cell_angle_alpha 90.00
_cell_angle_beta 107.53
_cell_angle_gamma 90.00
loop_
_symmetry_equiv_pos_as_xyz
'x,y,z'
'-x,y+1/2,-z'
loop_
_atom_site_label
_atom_site_fract_x
_atom_site_fract_y
_atom_site_fract_z
In1 0.021 0.000 0.064
In2 0.077 0.568 0.449
Hg1 0.441 0.937 0.549
Hg2 0.482 0.498 0.945
Pt1 0.166 0.790 0.780
Pt2 0.299 0.707 0.205
```

Summary:
- DOS at the Fermi energy: 5.2 states/eV per cell
- E_form: -0.58 eV/f.u.
- ρ: 11.45 Mg/m³

***

Record 4
First-principles (PBE) data for VPd2Rh after structural relaxation, as listed in Alexandria.

Cell and atoms, written as CIF:
```
data_VPd2Rh
_symmetry_space_group_name_H-M 'P m m a'
_symmetry_Int_Tables_number 51
_cell_length_a 3.895
_cell_length_b 3.779
_cell_length_c 7.877
_cell_angle_alpha 90.00
_cell_angle_beta 90.00
_cell_angle_gamma 90.00
loop_
_symmetry_equiv_pos_as_xyz
'x,y,z'
'-x,-y,-z'
'-x+1/2,-y,z'
'x+1/2,y,-z'
'x+1/2,-y,-z'
'-x+1/2,y,z'
'-x,y,-z'
'x,-y,z'
loop_
_atom_site_label
_atom_site_fract_x
_atom_site_fract_y
_atom_site_fract_z
V1 0.250 0.000 0.125
Pd1 0.250 0.000 0.636
Pd2 0.250 0.500 0.365
Rh1 0.250 0.500 0.883
```

Summary:
- DOS at the Fermi energy: 7.2 states/eV per cell
=====
**So much for the records of crystals**
A medical gap insurance plan is simple in that it follows an employer's major medical plan. It pays off the underlying major medical plan's Explanation of Benefits (EOB) directly to the subscriber or provider. A gap plan pays the benefits described in the Schedule of Benefits up to a maximum benefit amount
Non-Qualified Deferred Compensation Planning
A nonqualified deferred compensation plan is a type of retirement plan that allows select, highly compensated employees to enjoy tax advantages by deferring a greater percentage of their compensation (and current income taxes) than is allowed by the IRS in a qualified retirement plan.
Keyperson Life Insurance
Key person insurance offers a financial cushion if the sudden loss of a certain individual would profoundly negatively affect the company's operations. The death benefit essentially buys the company time to find a new person or to implement other strategies to save (or shut down) the business.
In a small business, the key person is usually the owner, the founders, or perhaps a key employee or two. The main qualifying point is whether the person's absence would cause major financial harm to the company. If this is the case, key person insurance is definitely worth considering.